Request.
Work out how many lines further down have the word "Dy1" in them; a number is enough.
File.
# 1
# PBE Pr2Dy2Te2Se3, optimized geometry
data_Pr2Dy2Te2Se3
_chemical_formula_sum 'Pr4 Dy4 Te4 Se6'
_space_group_name_H-M_alt 'I 4/m m m'
_space_group_IT_number 139
_space_group_name_Hall '-I 4 2'
_cell_length_a 5.6350
_cell_length_b 5.6350
_cell_length_c 16.1953
_cell_angle_alpha 90.00
_cell_angle_beta 90.00
_cell_angle_gamma 90.00
loop_
_atom_site_label
_atom_site_type_symbol
_atom_site_fract_x
_atom_site_fract_y
_atom_site_fract_z
Pr1 Pr 0.0000 0.0000 0.1932
Dy1 Dy 0.0000 0.5000 0.0000
Te1 Te 0.0000 0.0000 0.3953
Se1 Se 0.0000 0.0000 0.0000
Se2 Se 0.0000 0.5000 0.2500
# * final energy: -5.375 eV/atom
# * ΔE_f (raw): -1.430 eV/atom



# 2
# PBE Pr2DyTe2Se2, optimized geometry
data_Pr2DyTe2Se2
_chemical_formula_sum 'Pr4 Dy2 Te4 Se4'
_space_group_name_H-M_alt 'I 4/m m m'
_space_group_IT_number 139
_space_group_name_Hall '-I 4 2'
_cell_length_a 5.3035
_cell_length_b 5.3035
_cell_length_c 16.1262
_cell_angle_alpha 90.00
_cell_angle_beta 90.00
_cell_angle_gamma 90.00
loop_
_atom_site_label
_atom_site_type_symbol
_atom_site_fract_x
_atom_site_fract_y
_atom_site_fract_z
Pr1 Pr 0.0000 0.0000 0.1186
Dy1 Dy 0.0000 0.0000 0.5000
Te1 Te 0.0000 0.0000 0.3139
Se1 Se 0.0000 0.5000 0.0000
# * final energy: -5.280 eV/atom
# * ΔE_f (raw): -1.363 eV/atom



# 3
# PBE PrDyTeSe, optimized geometry
data_PrDyTeSe
_chemical_formula_sum 'Pr3 Dy3 Te3 Se3'
_space_group_name_H-M_alt 'R 3 m'
_space_group_IT_number 160
_space_group_name_Hall 'R 3 -2"'
_cell_length_a 4.1532
_cell_length_b 4.1532
_cell_length_c 22.9961
_cell_angle_alpha 90.00
_cell_angle_beta 90.00
_cell_angle_gamma 120.00
loop_
_atom_site_label
_atom_site_type_symbol
_atom_site_fract_x
_atom_site_fract_y
_atom_site_fract_z
Pr1 Pr 0.0000 0.0000 0.0000
Dy1 Dy 0.0000 0.0000 0.1623
Te1 Te 0.0000 0.0000 0.5762
Se1 Se 0.0000 0.0000 0.7536
# * final energy: -5.533 eV/atom
# * ΔE_f (raw): -1.531 eV/atom



# 4
# PBE PrDy3Th4Se8, optimized geometry
data_PrDy3Th4Se8
_chemical_formula_sum 'Pr3 Dy9 Th12 Se24'
_space_group_name_H-M_alt 'R -3 m'
_space_group_IT_number 166
_space_group_name_Hall '-R 3 2"'
_cell_length_a 8.1645
_cell_length_b 8.1645
_cell_length_c 21.2009
_cell_angle_alpha 90.00
_cell_angle_beta 90.00
_cell_angle_gamma 120.00
loop_
_atom_site_label
_atom_site_type_symbol
_atom_site_fract_x
_atom_site_fract_y
_atom_site_fract_z
Pr1 Pr 0.0000 0.0000 0.0000
Dy1 Dy 0.0000 0.5000 0.0000
Th1 Th 0.0000 0.0000 0.5000
Th2 Th 0.0000 0.5000 0.5000
Se1 Se 0.0000 0.0000 0.2552
Se2 Se 0.0073 0.5036 0.2536
# * final energy: -6.408 eV/atom
# * ΔE_f (raw): -1.649 eV/atom



# 5
# PBE Pr3Dy2ThSe6, optimized geometry
data_Pr3Dy2ThSe6
_chemical_formula_sum 'Pr6 Dy4 Th2 Se12'
_space_group_name_H-M_alt 'C 1 2/m 1'
_space_group_IT_number 12
_space_group_name_Hall '-C 2y'
_cell_length_a 18.2624
_cell_length_b 4.1687
_cell_length_c 8.4458
_cell_angle_alpha 90.00
_cell_angle_beta 103.11
_cell_angle_gamma 90.00
loop_
_atom_site_label
_atom_site_type_symbol
_atom_site_fract_x
_atom_site_fract_y
_atom_site_fract_z
Pr1 Pr 0.0000 0.0000 0.0000
Pr2 Pr 0.1621 0.5000 0.3337
Dy1 Dy 0.1657 0.5000 0.8311
Th1 Th 0.0000 0.0000 0.5000
Se1 Se 0.0058 0.5000 0.7522
Se2 Se 0.1684 0.0000 0.5966
Se3 Se 0.1713 0.0000 0.0742
# * final energy: -6.080 eV/atom
# * ΔE_f (raw): -1.758 eV/atom



# 6
# PBE Pr4DyTh3Se8, optimized geometry
data_Pr4DyTh3Se8
_chemical_formula_sum 'Pr12 Dy3 Th9 Se24'
_space_group_name_H-M_alt 'R -3 m'
_space_group_IT_number 166
_space_group_name_Hall '-R 3 2"'
_cell_length_a 8.4103
_cell_length_b 8.4103
_cell_length_c 20.7942
_cell_angle_alpha 90.00
_cell_angle_beta 90.00
_cell_angle_gamma 120.00
loop_
_atom_site_label
_atom_site_type_symbol
_atom_site_fract_x
_atom_site_fract_y
_atom_site_fract_z
Pr1 Pr 0.0000 0.0000 0.0000
Pr2 Pr 0.0000 0.5000 0.0000
Dy1 Dy 0.0000 0.0000 0.5000
Th1 Th 0.0000 0.5000 0.5000
Se1 Se 0.0000 0.0000 0.2495
Se2 Se 0.0064 0.5032 0.2474
# * final energy: -6.327 eV/atom
Completed.
6